Product Liability in Cyprus


Legal Articles by Michael Chambers & Co LLC

Consumer protection demands that producers of products are responsible for the safety of the goods they manufacture and that, in the event that they are faulty, appropriate avenues of action are available to anyone affected by the faulty goods. In Cyprus, the EU legislation governing product liability (Council Directive 85/374/EEC) has been directly implemented into Cypriot law through the Defective Products (Civil Liability) Laws of 1995 to 2002 (Law 105 (I) 95).
In this article Michael Chambers considers some of the key provisions of the Cypriot law and the ways in which producers can protect themselves against claims.

What is “Defective”

• What comes next are data records, not part of the piece:
=====
# 1
Theoretical X-ray powder pattern of Li6Fe7O15 for Cu Kα X-rays, from a GGA+U-relaxed structure.

Atomic structure:
Lattice parameters (Å, degrees): 7.9313 7.9313 8.9820 101.53 101.53 28.81
Element x y z (fractional)
1 Li 0.0000 0.0000 0.0000
2 Li 0.0021 0.0021 0.6600
3 Li 0.2049 0.2049 0.4023
4 Li 0.6073 0.6073 0.8677
5 Li 0.8052 0.8052 0.6009
6 Li 0.8079 0.8079 0.2662
7 Fe 0.2088 0.2088 0.0625
8 Fe 0.2102 0.2102 0.7408
9 Fe 0.4015 0.4015 0.4599
10 Fe 0.4047 0.4047 0.1351
11 Fe 0.4074 0.4074 0.8017
12 Fe 0.5974 0.5974 0.5254
13 Fe 0.6001 0.6001 0.2044
14 O 0.1122 0.1122 0.1830
15 O 0.1119 0.1119 0.5528
16 O 0.1228 0.1228 0.8706
17 O 0.3072 0.3072 0.9351
18 O 0.3087 0.3087 0.6174
19 O 0.3106 0.3106 0.2585
20 O 0.4956 0.4956 0.6469
21 O 0.4977 0.4977 0.0077
22 O 0.5035 0.5035 0.3268
23 O 0.6850 0.6850 0.3936
24 O 0.6952 0.6952 0.0845
25 O 0.6965 0.6965 0.7125
26 O 0.8941 0.8941 0.4665
27 O 0.9042 0.9042 0.1348
28 O 0.9147 0.9147 0.7979

Principal peaks in the range 2θ = 10–90°, by angle:
2theta  I/Imax
23.30  1000
23.69  547
24.94  237
30.37  218
30.51  210
37.61  203
37.71  176
42.35  655
42.88  628
45.99  533
64.29  310
64.69  304

=====

# 2
Theoretical X-ray powder pattern of Li5Fe4O8 for Cu Kα X-rays, from a GGA+U-relaxed structure.

Atomic structure:
Lattice parameters (Å, degrees): 6.0747 6.0747 6.0747 59.88 59.88 59.88
Element x y z (fractional)
1 Li 0.0000 0.0000 0.0000
2 Li 0.3667 0.3667 0.3667
3 Li 0.4287 0.8408 0.8408
4 Li 0.8408 0.4287 0.8408
5 Li 0.8408 0.8408 0.4287
6 Fe 0.3656 0.3656 0.8659
7 Fe 0.3656 0.8659 0.3656
8 Fe 0.8530 0.8530 0.8530
9 Fe 0.8659 0.3656 0.3656
10 O 0.1090 0.1090 0.6054
11 O 0.1090 0.6054 0.1090
12 O 0.1236 0.1236 0.1236
13 O 0.1349 0.6126 0.6126
14 O 0.6054 0.1090 0.1090
15 O 0.6096 0.6096 0.6096
16 O 0.6126 0.1349 0.6126
17 O 0.6126 0.6126 0.1349

Principal peaks in the range 2θ = 10–90°, by angle:
2theta  I/Imax
17.87  1000
34.69  509
36.25  190
42.11  839
46.08  168
55.59  176
61.01  232
61.13  246
64.24  160
73.17  68
77.02  102
87.23  78

=====

# 3
Theoretical X-ray powder pattern of LiFe3O4 for Cu Kα X-rays, from a GGA+U-relaxed structure.

Atomic structure:
Lattice parameters (Å, degrees): 3.0619 5.1763 5.2106 72.85 89.38 89.98
Element x y z (fractional)
1 Li 0.0000 0.0000 0.0000
2 Fe 0.0000 0.5000 0.5000
3 Fe 0.5000 0.0000 0.5000
4 Fe 0.5000 0.5000 0.0000
5 O 0.0012 0.7359 0.7762
6 O 0.4845 0.7416 0.2535
7 O 0.5155 0.2584 0.7465
8 O 0.9988 0.2641 0.2238

Principal peaks in the range 2θ = 10–90°, by angle:
2theta  I/Imax
17.82  362
17.93  523
21.26  290
36.08  347
36.29  669
36.50  327
41.38  1000
41.76  969
43.31  869
60.00  278
60.47  278
61.74  773

=====

# 4
Theoretical X-ray powder pattern of Li3Fe5O12 for Cu Kα X-rays, from a GGA+U-relaxed structure.

Atomic structure:
Lattice parameters (Å, degrees): 5.0115 5.3541 7.3701 94.90 90.04 90.53
Element x y z (fractional)
1 Li 0.0000 0.0000 0.0000
2 Li 0.0013 0.0032 0.4884
3 Li 0.4999 0.5125 0.4954
4 Fe 0.0082 0.4194 0.2893
=====
• The data records stop here:

Under the law, a product will be considered to be defective if it does not provide a consumer with the level of safety that he ought to be reasonably entitled to expect, taking into account the presentation of the product, the use that the product could reasonably be expected to be put to and the time when the product was released into circulation. “Defect” is not simply established by virtue of the fact that there is a better product on the market.

Principle responsibility for a defective product will lie with the producer or manufacturer of the product.

What needs to be proved

The burden of proof in a product liability claim will lie with the person claiming to be injured. He needs to prove that he has suffered damage which on the balance of probabilities was caused by the defendant’s defective product. The so-called
“but for” test will be applied as follows – but for the defendant’s defective product, would the claimant have suffered the damage?

What Sort of Damage is Necessary

Damage can be damage by death or personal injury, or damage to or destruction of an item of property, provided that the property is of a type ordinarily intended for private use or consumption and is used by the injured person mainly for his own private use or consumption.

Can a Producer Exclude Liability for Product Liability

It is not possible to exclude liability for personal injury or death under Cypriot law.

What Defenses Are Available in a Product Liability Claim

It is a defense for a manufacturer to show:

  • that he did not manufacture the product for sale or distribution for economic purposes nor was the product distributed in the course of the manufacturers business.
  • that the product was not put into circulation by the manufacturer.
  • that the component manufactured by a producer of part of a design was not the cause of the defect, which was in fact caused by the overall design.
  • that the defect is caused by compliance with regulatory provisions.
  • that the defect came into existence after being put into circulation.
  • that according to the state of scientific and technical knowledge at the time of circulation of the product no defect would have been discovered.

The burden of proof to prove such defenses rests with the manufacturer.

It is possible for contributory negligence to be established, meaning that the liability of a producer of a defective product may be reduced or even completely removed if the actions of the claimant have contributed to the damage.

Can Group Actions Occur

Class actions/group actions are common in product liability claims when there is more than one person affected by the defective products. The Civil Procedure Rules in Cyprus permit, with the Court’s assent, a group action to be taken.

Is There a Time Limit Within Which Claims Should be Brought

Time limits for claims do exist and a claim must be brought within 3 years of the date that the claimant knew (or ought reasonably to have known) that damage occurred. The rights conferred upon claimants extinguish after 10 years from the date upon which the producer placed the product into circulation, unless proceedings are instituted by the claimant in the meantime.

How Can A Producer Protect Himself

  • Give high priority to product safety and quality;
  • Consult your lawyer to get all the facts about sector specific regulations such as those applicable for the production of food, chemicals, pharmaceuticals etc, etc;
  • Review quality control and quality assurance procedures;
  • Consult your lawyer regarding product descriptions, labels, instructions etc, etc.
  • Review your agreements with suppliers of components etc and seek indemnities for matters for which they are responsible;
  • Review your insurance cover – product liability insurance will cover liability for accidental bodily injury or damage arising from your products.


Product liability claims can be extensive and costly for manufacturers. Producers need to be aware of the scope of potential claims against them and to protect themselves by prioritizing product safety, insuring and understanding what legal regulations require of them.

The entry is interrupted by materials data >
____________
# SmNiSb
Computed PXRD pattern, copper Kα. Input: a DFT-relaxed cell (GGA-PBE, the Materials Project).

Crystal structure
```
SmNiSb
1.0
4.341 0.000 0.000
-2.171 3.760 0.000
0.000 0.000 4.109
Sm Ni Sb
1 1 1
Cartesian
0.000 0.000 0.000 Sm
0.000 2.507 2.054 Ni
2.171 1.253 2.054 Sb
```

The 12 most intense peaks (5 to 70 degrees two-theta), by intensity:
2.774 Å, 32.27°, intensity 100; 2.171 Å, 41.60°, intensity 46; 1.492 Å, 62.22°, intensity 27; 1.709 Å, 53.61°, intensity 23; 2.054 Å, 44.08°, intensity 13; 3.760 Å, 23.66°, intensity 10; 1.803 Å, 50.64°, intensity 3; 1.880 Å, 48.42°, intensity 1; 1.421 Å, 65.71°, intensity 1; 1.387 Å, 67.54°, intensity 1; 4.109 Å, 21.63°, intensity 1; 1.919 Å, 47.36°, intensity 1

=====

# Ni4Sn3Sb9
Computed PXRD pattern, copper Kα. Input: a DFT-relaxed cell (GGA-PBE, the Materials Project).

Crystal structure
```
Ni4Sn3Sb9
1.0
6.493 -4.672 0.000
6.493 4.672 0.000
-6.487 0.000 6.494
Ni Sn Sb
4 3 9
Cartesian
3.250 2.336 3.226 Ni
6.493 2.355 0.000 Ni
3.250 -2.336 3.226 Ni
6.493 -2.355 0.000 Ni
-2.101 0.000 3.188 Sn
2.107 0.000 3.279 Sn
0.048 0.000 5.341 Sn
-0.036 0.000 1.145 Sb
4.276 1.525 1.021 Sb
2.221 3.135 5.438 Sb
4.276 -1.525 1.021 Sb
5.418 1.493 4.308 Sb
7.579 1.483 2.160 Sb
5.418 -1.493 4.308 Sb
7.579 -1.483 2.160 Sb
2.221 -3.135 5.438 Sb
```

The 12 most intense peaks (5 to 70 degrees two-theta), by intensity:
2.907 Å, 30.76°, intensity 100; 2.950 Å, 30.30°, intensity 52; 2.482 Å, 36.20°, intensity 20; 2.457 Å, 36.57°, intensity 19; 2.467 Å, 36.42°, intensity 19; 1.880 Å, 48.42°, intensity 18; 1.582 Å, 58.33°, intensity 15; 2.082 Å, 43.46°, intensity 13; 2.060 Å, 43.95°, intensity 13; 2.054 Å, 44.10°, intensity 12; 1.802 Å, 50.65°, intensity 12; 1.821 Å, 50.11°, intensity 11

=====

# U3Ni3Sn2Sb2
Computed PXRD pattern, copper Kα. Input: a DFT-relaxed cell (GGA-PBE, the Materials Project).

Crystal structure
```
U3Ni3Sn2Sb2
1.0
-4.651 4.651 4.651
4.651 -4.651 4.651
4.651 4.651 -4.651
U Ni Sn Sb
6 6 4 4
Cartesian
4.651 -2.326 3.489 U
3.489 4.651 -2.326 U
4.651 2.326 1.162 U
2.326 1.162 4.651 U
1.162 4.651 2.326 U
-2.326 3.489 4.651 U
6.977 1.151 0.000 Ni
3.500 0.000 2.326 Ni
2.326 3.500 0.000 Ni
0.000 2.326 3.500 Ni
1.151 0.000 6.977 Ni
0.000 6.977 1.151 Ni
3.121 1.530 -1.530 Sn
1.530 -1.530 3.121 Sn
1.530 1.530 1.530 Sn
-1.530 3.121 1.530 Sn
5.430 -0.779 0.779 Sb
0.779 5.430 -0.779 Sb
-0.779 0.779 5.430 Sb
3.872 3.872 3.872 Sb
```

The 12 most intense peaks (5 to 70 degrees two-theta), by intensity:
2.486 Å, 36.13°, intensity 100; 2.942 Å, 30.39°, intensity 62; 2.080 Å, 43.51°, intensity 43; 1.509 Å, 61.44°, intensity 25; 3.798 Å, 23.42°, intensity 16; 1.983 Å, 45.75°, intensity 15; 1.899 Å, 47.91°, intensity 14; 1.698 Å, 53.99°, intensity 12; 1.435 Å, 64.97°, intensity 12; 1.471 Å, 63.22°, intensity 12; 1.372 Å, 68.40°, intensity 9; 1.824 Å, 49.99°, intensity 8

=====

# TbNiSb2
Computed PXRD pattern, copper Kα. Input: a DFT-relaxed cell (GGA-PBE, the Materials Project).

Crystal structure
```
TbNiSb2
1.0
____________

Michael Chambers and C.o LLC’s litigation specialists are able to offer advice to both claimants and defendants in a product liability claim. We are also able to advise manufacturers on preemptive action which can be taken in order to minimize risk of a claim ever occurring. If you wish to speak to a member of our team then please contact us.